The reader should copy every line below that contains the word "orbital_gap_ev".

+++
Record 1
57
Properties=species:S:1:pos:R:3 method="wB97M-V/def2-TZVPD" relative_energy_ev=0.1440 homo_energy_ha="-0.424 / -0.443" spin_multiplicity=6 s2=8.77 total_charge=+1 orbital_gap_ev="8.55 / 7.86"
Ru -0.15 -0.42 -0.06
N -1.28 -2.41 0.57
C -0.53 -3.66 0.33
C -0.44 -3.94 -1.15
C 0.40 -2.95 -1.93
O 0.80 -3.20 -3.04
O 0.66 -1.79 -1.34
H -1.35 -2.23 1.56
H -2.23 -2.47 0.20
H -1.01 -4.50 0.84
H 0.46 -3.54 0.76
H -1.44 -3.95 -1.61
H -0.02 -4.93 -1.33
N -1.74 -0.80 -3.16
C -0.84 0.18 -3.27
N -0.61 0.66 -4.49
C 0.24 1.68 -4.55
N 0.52 2.19 -5.76
N 0.84 2.27 -3.49
C 0.55 1.70 -2.34
N -0.25 0.66 -2.14
C 1.18 2.29 -1.12
C 1.81 3.52 -1.16
C 2.36 4.01 0.01
C 2.28 3.26 1.17
C 1.64 2.04 1.12
N 1.10 1.56 0.00
H -2.08 -1.23 -4.01
H -1.92 -1.24 -2.28
H 0.11 1.77 -6.57
H 1.17 2.94 -5.84
H 1.85 4.06 -2.10
H 2.86 4.98 0.01
H 2.72 3.61 2.09
H 1.57 1.40 1.98
C -0.90 2.32 3.21
As -1.06 0.42 3.29
C -2.89 -0.09 3.28
C -0.37 -0.11 4.98
O -0.14 -0.39 2.12
H -1.74 2.76 3.74
H -0.91 2.64 2.17
H 0.03 2.61 3.69
H -3.40 0.45 4.07
H -2.94 -1.16 3.49
H -3.34 0.14 2.31
H -0.92 0.40 5.77
H 0.69 0.16 5.04
H -0.48 -1.18 5.09
O -3.42 -0.38 -0.02
N -2.33 0.14 -0.17
O -1.99 1.13 0.54
Cl 3.27 -3.93 0.21
C 3.46 -2.23 -0.22
Cl 2.56 -1.15 0.89
H 3.06 -2.06 -1.21
H 4.50 -1.97 -0.13

***

Record 2
94
Properties=species:S:1:pos:R:3 method="wB97M-V/def2-TZVPD" homo_energy_ha=-0.424 total_charge=+1 orbital_gap_ev=8.32
C 2.63 1.34 4.19
B 2.24 1.72 2.75
O 2.63 1.02 1.67
S 1.27 3.30 2.31
C 0.32 3.92 3.72
C -0.61 2.89 4.32
C -1.80 2.59 3.41
F -1.60 3.08 2.16
Br -3.40 3.52 4.08
C -2.04 1.05 3.33
F -1.58 0.47 4.46
F -3.34 0.71 3.20
Br -1.07 0.36 1.81
H 1.79 1.18 4.86
H 3.29 2.05 4.69
H 3.17 0.40 4.14
H 1.94 0.53 1.21
H 0.34 2.87 1.44
H 1.01 4.31 4.46
H -0.24 4.77 3.34
H -0.06 1.98 4.54
H -0.97 3.26 5.27
C 0.42 -3.92 0.07
C -0.16 -2.54 -0.13
O 0.84 -1.51 0.02
H 0.87 -4.00 1.06
H -0.34 -4.69 -0.02
H 1.21 -4.12 -0.66
H -0.93 -2.33 0.62
H -0.61 -2.45 -1.12
H 1.52 -1.67 -0.64
C 3.44 2.76 -1.60
C 3.11 4.23 -1.55
O 2.49 4.58 -0.29
H 2.54 2.16 -1.47
H 3.90 2.50 -2.56
H 4.14 2.48 -0.80
H 2.41 4.49 -2.33
H 4.01 4.83 -1.68
H 3.11 4.37 0.40
C -2.01 -0.37 -3.06
C -1.37 -0.91 -4.33
O -1.15 -2.30 -4.26
H -1.37 -0.60 -2.20
H -2.15 0.71 -3.11
H -2.98 -0.84 -2.89
H -0.39 -0.44 -4.49
H -2.00 -0.67 -5.20
H -2.01 -2.72 -4.15
C 3.92 1.95 -6.56
C 2.79 2.55 -5.73
O 3.17 3.78 -5.11
H 4.80 1.78 -5.93
H 3.63 1.01 -7.01
H 4.22 2.64 -7.36
H 2.51 1.87 -4.93
H 1.91 2.71 -6.36
H 3.41 4.39 -5.81
C 0.84 7.66 1.79
C 1.96 8.28 0.97
O 3.02 7.35 0.75
H 1.23 7.30 2.75
H 0.04 8.37 1.98
H 0.42 6.80 1.26
H 2.40 9.12 1.51
H 1.58 8.64 0.02
H 2.65 6.60 0.27
C -1.07 -3.88 5.07
C -0.83 -3.03 6.31
O 0.04 -1.93 6.03
H -0.13 -4.25 4.68
H -1.72 -4.72 5.30
H -1.55 -3.29 4.28
H -0.34 -3.62 7.08
H -1.78 -2.66 6.71
H -0.38 -1.40 5.35
C -2.28 -8.05 2.40
C -1.96 -7.27 1.14
O -0.64 -6.72 1.18
H -2.19 -7.42 3.27
H -3.30 -8.45 2.36
H -1.59 -8.89 2.52
H -2.64 -6.43 1.03
H -2.06 -7.91 0.25
H -0.02 -7.45 1.26
C -4.65 -5.12 -6.31
C -4.53 -4.23 -5.09
O -3.65 -3.13 -5.32
H -3.67 -5.50 -6.60
H -5.32 -5.96 -6.12
H -5.05 -4.56 -7.16
H -4.12 -4.79 -4.25
H -5.51 -3.85 -4.79
H -4.00 -2.62 -6.05

***

Record 3
59
Properties=species:S:1:pos:R:3 method="wB97M-V/def2-TZVPD" homo_energy_ha=-0.374 smiles="COCc1c(C[C@H](O)C(F)(F)F)c(CCO)n[n+]([PH2]=N)c1CCCCn1cccc1" total_charge=+1 orbital_gap_ev=5.40
C -2.54 1.95 -0.47
O -1.35 1.63 -1.28
C -0.84 0.27 -1.02
C 0.59 0.22 -0.21
C 1.84 1.27 -0.39
C 1.74 2.50 -1.49
C 1.57 1.87 -2.99
O 2.31 0.57 -3.00
C 2.21 2.77 -4.20
F 1.24 2.72 -5.35
F 2.47 4.19 -3.86
F 3.46 2.09 -4.69
C 3.22 1.12 0.48
C 4.54 2.13 0.30
C 4.24 3.66 0.82
O 2.92 3.81 1.48
N 3.32 0.03 1.47
N 2.27 -0.82 1.60
P 2.54 -2.10 2.88
N 3.50 -1.39 4.02
C 0.94 -0.95 0.94
C -0.19 -2.13 1.25
C -1.17 -1.79 2.52
C -2.78 -1.83 2.18
C -3.30 -3.19 1.44
N -4.06 -2.80 0.15
C -5.34 -1.98 0.11
C -5.88 -1.78 -1.43
C -4.78 -2.58 -2.35
C -3.66 -3.19 -1.27
H -3.39 1.15 -0.57
H -2.27 2.21 0.66
H -2.98 2.96 -0.92
H -1.70 -0.31 -0.44
H -0.63 -0.21 -2.08
H 0.83 3.20 -1.24
+++

Properties=species:S:1:pos:R:3 method="wB97M-V/def2-TZVPD" relative_energy_ev=0.1440 homo_energy_ha="-0.424 / -0.443" spin_multiplicity=6 s2=8.77 total_charge=+1 orbital_gap_ev="8.55 / 7.86"
Properties=species:S:1:pos:R:3 method="wB97M-V/def2-TZVPD" homo_energy_ha=-0.424 total_charge=+1 orbital_gap_ev=8.32
Properties=species:S:1:pos:R:3 method="wB97M-V/def2-TZVPD" homo_energy_ha=-0.374 smiles="COCc1c(C[C@H](O)C(F)(F)F)c(CCO)n[n+]([PH2]=N)c1CCCCn1cccc1" total_charge=+1 orbital_gap_ev=5.40